Work out how many lines further below have the word "total" in them; a number is enough.

=====
First-principles (PBE+U) data for an optimized crystal structure of Mg2MnZnO4, as listed in Alexandria via LeMat-Bulk.

Calculated values
electronic total energy = -6.03 eV per atom
magnetization = 5.00 μB/cell

abc: 5.7051 5.7051 5.7051
angles: 131.56 131.56 70.93
Closest atoms and distances in Å follow each position.
Atoms (fractional coordinates):
Mg: 0.2500 0.7500 0.5000  4 O 2.00
Mg: 0.7500 0.2500 0.5000  4 O 2.00
Mn: 0.0000 0.0000 0.0000  4 O 2.09
Zn: 0.5000 0.5000 0.0000  4 O 2.01
O: 0.1268 0.6131 0.0000  2 Mg 2.00, 1 Zn 2.01, 1 Mn 2.09
O: 0.3869 0.3869 0.5137  2 Mg 2.00, 1 Zn 2.01, 1 Mn 2.09
O: 0.6131 0.1268 0.0000  2 Mg 2.00, 1 Zn 2.01, 1 Mn 2.09
O: 0.8732 0.8732 0.4864  2 Mg 2.00, 1 Zn 2.01, 1 Mn 2.09


Entry 1:
PBE Ga2HPt, optimized geometry; DOS(E_F) = 1.6 states/eV/cell; offset from the most stable computed form = 0.266 eV per atom
1.0
0.000 3.022 3.022
3.022 0.000 3.022
3.022 3.022 0.000
H Ga Pt
1 2 1
Direct
0.000 0.000 0.000 H
0.250 0.250 0.250 Ga
0.750 0.750 0.750 Ga
0.500 0.500 0.500 Pt


Entry 2:
PBE Mg6CdBi, optimized geometry; calculated formation energy = -0.0463 eV/atom; DOS(E_F) = 2.7 states/eV/cell; offset from the most stable computed form = 0.035 eV per atom
1.0
4.392 4.657 1.252
-5.282 -0.261 3.818
2.416 -3.119 3.129
Mg Cd Bi
6 1 1
Direct
0.663 0.838 0.500 Mg
0.162 0.337 0.500 Mg
0.851 0.688 0.000 Mg
0.312 0.149 0.000 Mg
0.338 0.662 0.000 Mg
0.841 0.159 0.000 Mg
0.170 0.830 0.500 Cd
0.662 0.338 0.500 Bi
=====

1